What to do:
Now restate everything underneath without altering anything.
Data:
=====
Entry 1:
Below is a 11-piece molecular cluster, C20H34Cl21IO6S overall, with properties calculated with ωB97M-V with the def2-TZVPD basis set.

The value obtained for the HOMO energy is -10.20 eV. Its total charge is 0. The value obtained for the strongest force on any atom is 0.015 Eh/bohr. The HOMO-LUMO gap is 10.2809 eV. Its relative energy (zero: lowest compared OMol25 entry of this formula, charge and spin) is 0.0 kJ/mol. The SMILES is CCCC[C@]1(CC(=O)I)OS(=O)(=O)O[C@H]1CC(=O)Cl.ClCCl.ClCCl.ClCCl.ClCCl.ClCCl.ClCCl.ClCCl.ClCCl.ClCCl.ClCCl. As for the total energy: -11593.78957 Ha.

Each line ends with the Mulliken charge.
Positions of all 83 atoms, in Å:
C 1.7318 4.7808 -1.1596  -1.00
C 0.2339 5.0588 -1.3079  -0.58
C -0.5553 4.0006 -2.0855  -0.97
C -1.0550 2.7692 -1.3199  -1.05
C -0.0295 1.7218 -0.8393  1.63
C 0.6086 1.9738 0.5441  -1.38
C -0.0903 2.9517 1.4561  -0.27
O 0.2815 4.0223 1.7766  -0.49
I -1.8981 2.1164 2.2995  0.16
O 1.0835 1.6691 -1.7872  -0.49
S 0.7119 0.7930 -3.0589  1.23
O 0.2722 1.6026 -4.1329  -0.61
O 1.7403 -0.1623 -3.2373  -0.58
O -0.5814 0.0996 -2.4249  -0.44
C -0.6416 0.2940 -1.0186  0.30
C 0.0176 -0.8809 -0.2530  -1.16
C 0.3325 -2.0878 -1.1171  0.36
O -0.4627 -2.7278 -1.7122  -0.47
Cl 2.0488 -2.5201 -1.1242  -0.14
H 1.9683 4.1929 -0.2727  0.14
H 2.2934 5.7119 -1.0857  0.42
H 2.1096 4.2418 -2.0299  0.25
H -0.2299 5.2289 -0.3335  0.23
H 0.1192 5.9965 -1.8558  0.48
H 0.0073 3.7034 -2.9697  0.37
H -1.4673 4.4771 -2.4538  0.44
H -1.6450 3.1190 -0.4721  0.36
H -1.7597 2.2445 -1.9682  0.59
H 1.6337 2.3141 0.3977  0.54
H 0.6487 1.0575 1.1260  0.47
H -1.6819 0.3601 -0.7026  0.72
H -0.7026 -1.2434 0.4830  0.39
H 0.9164 -0.5931 0.2796  0.51
C -6.1560 2.8679 0.6423  -0.36
Cl -5.1048 3.5620 -0.6053  -0.15
Cl -5.3330 1.6326 1.5905  0.00
H -6.4596 3.6662 1.3098  0.19
H -7.0108 2.4149 0.1553  0.32
C 4.7224 -4.6628 -2.9777  -0.07
Cl 5.1118 -3.7654 -1.5067  -0.18
Cl 4.4405 -6.3783 -2.6635  -0.16
H 3.8189 -4.2392 -3.4008  0.25
H 5.5576 -4.5791 -3.6623  0.16
C -5.3772 -2.5605 2.0904  -0.34
Cl -4.0530 -1.4582 2.4907  -0.08
Cl -5.7272 -2.5830 0.3594  -0.15
H -5.0911 -3.5591 2.3965  0.31
H -6.2634 -2.2243 2.6149  0.26
C -5.2779 2.8720 5.5703  0.32
Cl -4.9587 1.1702 5.2005  -0.17
Cl -6.1638 3.6932 4.2764  -0.15
H -5.8787 2.9306 6.4668  0.00
H -4.3267 3.3753 5.6997  -0.01
C 6.4079 -8.2184 -5.7359  0.16
Cl 7.6214 -9.2604 -4.9891  -0.15
Cl 6.8015 -6.5004 -5.5498  -0.17
H 6.3712 -8.4348 -6.7956  -0.13
H 5.4513 -8.3978 -5.2594  0.30
C 10.0526 -6.7558 -7.8726  0.09
Cl 9.5963 -7.5415 -9.3922  -0.15
Cl 11.6206 -7.3151 -7.2791  -0.16
H 10.1147 -5.6889 -8.0488  0.27
H 9.3045 -6.9820 -7.1229  -0.05
C -1.3249 5.6478 4.5126  0.37
Cl -3.0753 5.4244 4.6729  -0.14
Cl -0.8728 7.3543 4.4586  -0.17
H -0.8459 5.1938 5.3717  0.24
H -1.0064 5.1781 3.5888  -0.33
C -7.4794 4.1643 9.3739  -0.31
Cl -7.2919 4.6543 7.6878  -0.13
Cl -6.0832 3.2171 9.9079  -0.13
H -7.5499 5.0574 9.9825  0.28
H -8.3668 3.5508 9.4684  0.30
C 5.1619 -10.8356 -9.3163  -0.23
Cl 5.7671 -11.7409 -7.9265  -0.14
Cl 5.2678 -9.0870 -9.0605  -0.16
H 5.7628 -11.0862 -10.1817  0.26
H 4.1208 -11.0912 -9.4696  0.27
C -2.4928 4.2428 10.3589  -0.18
Cl -2.6531 4.5827 8.6320  -0.07
Cl -0.9808 3.4130 10.7453  -0.17
H -2.5103 5.1857 10.8917  0.30
H -3.3168 3.6085 10.6600  0.11

=====

Entry 2:
Below is one molecule with the formula C4H5N3O at a distorted geometry, with properties calculated with ωB97M-V with the def2-TZVPD basis set.

The value obtained for the HOMO energy is -9.63 eV. Its total charge is 0. The value obtained for the strongest force on any atom is 0.142 Eh/bohr. The HOMO-LUMO gap is 9.0975 eV. Its relative energy (zero: lowest compared OMol25 entry of this formula, charge and spin) is 625.0 kJ/mol. The SMILES is CC1=NC=NC=NO1. As for the total energy: -394.72949 Ha.

Each line ends with the Mulliken charge.
Positions of all 13 atoms, in Å:
C -0.0865 -2.1763 0.2628  -0.79
C -0.0628 -0.5788 0.0264  0.61
C 1.2952 1.3009 0.1096  0.16
C -0.8442 1.9443 -0.3310  0.23
=====
Done:
Entry 1:
Below is a 11-piece molecular cluster, C20H34Cl21IO6S overall, with properties calculated with ωB97M-V with the def2-TZVPD basis set.

The value obtained for the HOMO energy is -10.20 eV. Its total charge is 0. The value obtained for the strongest force on any atom is 0.015 Eh/bohr. The HOMO-LUMO gap is 10.2809 eV. Its relative energy (zero: lowest compared OMol25 entry of this formula, charge and spin) is 0.0 kJ/mol. The SMILES is CCCC[C@]1(CC(=O)I)OS(=O)(=O)O[C@H]1CC(=O)Cl.ClCCl.ClCCl.ClCCl.ClCCl.ClCCl.ClCCl.ClCCl.ClCCl.ClCCl.ClCCl. As for the total energy: -11593.78957 Ha.

Each line ends with the Mulliken charge.
Positions of all 83 atoms, in Å:
C 1.7318 4.7808 -1.1596  -1.00
C 0.2339 5.0588 -1.3079  -0.58
C -0.5553 4.0006 -2.0855  -0.97
C -1.0550 2.7692 -1.3199  -1.05
C -0.0295 1.7218 -0.8393  1.63
C 0.6086 1.9738 0.5441  -1.38
C -0.0903 2.9517 1.4561  -0.27
O 0.2815 4.0223 1.7766  -0.49
I -1.8981 2.1164 2.2995  0.16
O 1.0835 1.6691 -1.7872  -0.49
S 0.7119 0.7930 -3.0589  1.23
O 0.2722 1.6026 -4.1329  -0.61
O 1.7403 -0.1623 -3.2373  -0.58
O -0.5814 0.0996 -2.4249  -0.44
C -0.6416 0.2940 -1.0186  0.30
C 0.0176 -0.8809 -0.2530  -1.16
C 0.3325 -2.0878 -1.1171  0.36
O -0.4627 -2.7278 -1.7122  -0.47
Cl 2.0488 -2.5201 -1.1242  -0.14
H 1.9683 4.1929 -0.2727  0.14
H 2.2934 5.7119 -1.0857  0.42
H 2.1096 4.2418 -2.0299  0.25
H -0.2299 5.2289 -0.3335  0.23
H 0.1192 5.9965 -1.8558  0.48
H 0.0073 3.7034 -2.9697  0.37
H -1.4673 4.4771 -2.4538  0.44
H -1.6450 3.1190 -0.4721  0.36
H -1.7597 2.2445 -1.9682  0.59
H 1.6337 2.3141 0.3977  0.54
H 0.6487 1.0575 1.1260  0.47
H -1.6819 0.3601 -0.7026  0.72
H -0.7026 -1.2434 0.4830  0.39
H 0.9164 -0.5931 0.2796  0.51
C -6.1560 2.8679 0.6423  -0.36
Cl -5.1048 3.5620 -0.6053  -0.15
Cl -5.3330 1.6326 1.5905  0.00
H -6.4596 3.6662 1.3098  0.19
H -7.0108 2.4149 0.1553  0.32
C 4.7224 -4.6628 -2.9777  -0.07
Cl 5.1118 -3.7654 -1.5067  -0.18
Cl 4.4405 -6.3783 -2.6635  -0.16
H 3.8189 -4.2392 -3.4008  0.25
H 5.5576 -4.5791 -3.6623  0.16
C -5.3772 -2.5605 2.0904  -0.34
Cl -4.0530 -1.4582 2.4907  -0.08
Cl -5.7272 -2.5830 0.3594  -0.15
H -5.0911 -3.5591 2.3965  0.31
H -6.2634 -2.2243 2.6149  0.26
C -5.2779 2.8720 5.5703  0.32
Cl -4.9587 1.1702 5.2005  -0.17
Cl -6.1638 3.6932 4.2764  -0.15
H -5.8787 2.9306 6.4668  0.00
H -4.3267 3.3753 5.6997  -0.01
C 6.4079 -8.2184 -5.7359  0.16
Cl 7.6214 -9.2604 -4.9891  -0.15
Cl 6.8015 -6.5004 -5.5498  -0.17
H 6.3712 -8.4348 -6.7956  -0.13
H 5.4513 -8.3978 -5.2594  0.30
C 10.0526 -6.7558 -7.8726  0.09
Cl 9.5963 -7.5415 -9.3922  -0.15
Cl 11.6206 -7.3151 -7.2791  -0.16
H 10.1147 -5.6889 -8.0488  0.27
H 9.3045 -6.9820 -7.1229  -0.05
C -1.3249 5.6478 4.5126  0.37
Cl -3.0753 5.4244 4.6729  -0.14
Cl -0.8728 7.3543 4.4586  -0.17
H -0.8459 5.1938 5.3717  0.24
H -1.0064 5.1781 3.5888  -0.33
C -7.4794 4.1643 9.3739  -0.31
Cl -7.2919 4.6543 7.6878  -0.13
Cl -6.0832 3.2171 9.9079  -0.13
H -7.5499 5.0574 9.9825  0.28
H -8.3668 3.5508 9.4684  0.30
C 5.1619 -10.8356 -9.3163  -0.23
Cl 5.7671 -11.7409 -7.9265  -0.14
Cl 5.2678 -9.0870 -9.0605  -0.16
H 5.7628 -11.0862 -10.1817  0.26
H 4.1208 -11.0912 -9.4696  0.27
C -2.4928 4.2428 10.3589  -0.18
Cl -2.6531 4.5827 8.6320  -0.07
Cl -0.9808 3.4130 10.7453  -0.17
H -2.5103 5.1857 10.8917  0.30
H -3.3168 3.6085 10.6600  0.11

=====

Entry 2:
Below is one molecule with the formula C4H5N3O at a distorted geometry, with properties calculated with ωB97M-V with the def2-TZVPD basis set.

The value obtained for the HOMO energy is -9.63 eV. Its total charge is 0. The value obtained for the strongest force on any atom is 0.142 Eh/bohr. The HOMO-LUMO gap is 9.0975 eV. Its relative energy (zero: lowest compared OMol25 entry of this formula, charge and spin) is 625.0 kJ/mol. The SMILES is CC1=NC=NC=NO1. As for the total energy: -394.72949 Ha.

Each line ends with the Mulliken charge.
Positions of all 13 atoms, in Å:
C -0.0865 -2.1763 0.2628  -0.79
C -0.0628 -0.5788 0.0264  0.61
C 1.2952 1.3009 0.1096  0.16
C -0.8442 1.9443 -0.3310  0.23